Cruel Enforcer by Maggie Cole



Sergey commands me all night.At times he edges me, pushing me past the brink of where I think I can go. Sometimes he spanks me. It makes me wet. I don't understand why, but it does. He always praises me for it while dipping his fingers in my sex and rubbing the sore skin on my ass until I come.

He puts nipple clamps on my breasts then takes a flogger to me. When he releases the clamps, all of my skin is on fire. He sucks on each sensitive nipple, and a sensation I've never felt before assails me with pleasure.

I don't understand why I like what he does to me. It confuses me, but I'm an addict who can't get enough. Everything he does is with expertise, as if he knows my body better than I do.

Several times, we have intercourse. I'm not sure if it's the insomnia or just him, but he's always hard. Within minutes of releasing inside me, he's erect again.

We're in a room similar to the dungeon. Some of the items hanging on the wall or placed on the shelf look scary. Sergey leaves the room to get more water. There's a stocked refrigerator in the room, but we've gone through several bottles. I don't want the juice in the fridge, and he has a thing about keeping me hydrated. As soon as he leaves, my curiosity gets the best of me. I go to the wall and pick a few of the toys, not understanding how they could be pleasurable or fun.

When he comes back into the room, I'm touching the points of a tool. They're sharp, and a chill crawls down my bones.

Sergey wraps his arms around me then takes the item out of my hand. He hangs it back on the wall. "I don't think this is for you."

I sink into him and turn my head. "Did you use this on her?"

He stays quiet and keeps his gaze pinned on mine.

"Is this something you need?" I asked, and for a brief moment considered letting him use it on me.

In a stern voice, he replies, "No. She needed it. You don't."

"But you enjoyed using it on her?"




Surprised by his answer, I asked, "Why didn't you enjoy it?"

His jaw spasms. "You really want to know this?"



I reach for his jaw and put my hand over his tics. "I want to know about you. Not the parts everyone else sees but these pieces."

He hesitates. Nerves enter his expression. He finally replies, "It's too close to the thing I'm most talented at."

"What's that?"

"Not anything I'm going to disclose to you."

I stand straighter. "I'm not going to judge—"

"It's not about your thoughts on the matter. You agreed to accept not knowing about parts of my life."

The truth of our verbal contract hangs in the air. He's right. I hate not knowing everything about him, but I did accept his terms.

Silence fills the room, and he doesn't move, as if he's ready for me to argue or bolt away from him.

I decide to try a different angle. "If you didn't like using that on her, then why did you?"

Something dark flares in his eyes. "People need different things, lapa."

"How do you know I don't need it?"

Why am I asking him this?

"You aren't a masochist."

I take a deep breath. "But I like when you...the pain..."

A smile plays on his lips. "Yes." He palms my pussy.

I shudder.

He kisses my cheek and murmurs in my ear, "You like a bit of pain, but you don't need it to come."

My insecurities spin in my mind. He was with her for years. What if he does need a masochist?

He seems to know my thoughts and squashes my worries. "I prefer to get you off anywhere we are. Don't you?" He moves his thumb over my mound.

I think back to our dinner date and can't stop my smile. "Yes."

"Good." He gives me a chaste kiss on the lips then guides me to the bed. "It's rest time."


"You need some sleep. Don't worry though. I'll wake you up." He winks.

I laugh, and we slide into bed. He puts his arm around me and strokes my thigh and hip. He's warm and makes me feel safe. I quickly fall asleep until little flutters erupt on the back of my body.

"Mmm." I don't open my eyes. I'm still in a sleepy state. Sergey's scent and warm flesh consume my senses. His lips travel down my spine, and his hands follow.

I attempt to move, but my wrists are bound again. They're still under the pillow. How did he restrain me while I was sleeping?

Probably because he exhausted me.

I'm not sure what time it is or if it's the next day already.

"On your knees, lapa," he commands. "Keep your head on the pillow."

I don't think and assume the position, pulling my knees toward my breasts. My insides pulse.

He inhales deeply. His hot breath is on my exposed privates, and the throbbing intensifies. His warm hands palm my ass, and he kisses each cheek.

In a quick move, he slides his hands between my thighs and spreads my legs apart.

I gasp from the surprise.

His mouth hits my pussy, and I arch into the bed.

I grip the top of the mattress. "Oh God!"

He grunts, splays his hand on my back, and caresses me while teasing my clit until I'm sweating and begging him.

His tongue moves faster and faster until I'm shaking and screaming out his name.

When I'm coming down, he drags his teeth across my marbled nub. It sends another shot of adrenaline through me, and I jerk my arms, but there's nowhere for them to go.

He lurches over me. His muscular frame hums against my back. "Morning," he mumbles near my ear then slides his tongue behind it.

"Morning," I pant, aroused and pressing my ass into his erection.

"Are you relaxed?"

"Is that a question?"

"Good. I need you to stay that way and trust me."

I freeze.

His voice turns to amusement. "You already failed."

I fill my lungs with as much oxygen as possible and slowly exhale. "Sorry."

"I'm going to make you feel really good, my lapa." It's a statement with no room to question.

I nod, not sure how anything can feel better than what he just did to me.

"Clasp your hands together if they aren't."

I let go of the mattress and lace them together.

He strokes my hair. "Squeeze your hands together but nothing else if you need to."

"What are you—?"

"Shh. Look at me."

I turn.

His smoldering eyes are more intense than usual and drill into mine. The smell of my orgasms flares in my nostrils. His finger circles the tight opening of my ass. It's wet and slightly cold but quickly warms.

I take a deep breath.

"Stay relaxed, lapa."

I nod. I don't do ass play. It's one of those things where I've been curious about the hype but never trusted anyone I dated. I could say stop, and he would, but I trust him.

"My guess is no one has taken this pretty ass before?"

"No," I admit and swallow hard.

A satisfied, cocky smile appears. "You know the code word." His eyes never leave mine.

A moment passes, as if he's waiting for me to say stop.

I don't tear my gaze from him.

He finally nods. "Submit to me, lapa."


"You're thinking. Feel. Don't analyze. Let me control your body." He raises his eyebrows, as if in a challenge. "Unless you want to say the code word?" His finger inches in and out of me, and a new sensation I've not experienced before takes hold.

I pant out a, "No."

He kisses me. I stick my tongue out of my mouth, but he pulls away, then refocuses on my eyes. He removes his finger, and I feel the loss.

It surprises me when I instantly want it back in me.

His lips twitch, and something bigger replaces his finger. I focus on breathing and briefly close my eyes.

"That's it, my lapa. You like it, don't you?"

"Yes," I say, and my cheeks scorch.

"Why are you blushing, gorgeous?"

I don't reply. I've never considered myself a prude, but something about admitting I like him playing with my ass feels taboo.

He pushes it farther in me and then twists it while pulling it back out. Each time it passes my barrier, a whimper flies out of my mouth. Heat courses through my veins, and drops of sweat slide down my skin.

His lips brush against mine. "I want all of you, Kora. All the things you never let anyone else do to you, I want to do."

"Yes. Please," I whisper, not worrying about anything I ever have in the past but wanting to experience this with him.

He plays with me for a few more minutes. His cock is hard, and pre-cum drips on my leg.

I beg him again. "Please. I want you." Everything Sergey does to me, I enjoy. Many things I've never done before. As good as he makes me feel, I love it the best when he's inside me. I want to see what it's like with him in every part of me.

He glides his tongue in my mouth. I attack it with mine and moan as my body continues to throb.

His warm palm flattens against my ass with whatever he put in me fully lodged. He pulls out of our kiss, readjusts his body over mine, and leans on his elbow. His arm slides under my torso, and he pulls me up close to him.

I misunderstood what he was going to do. The tip of his cock hits my sex. His deep voice murmurs in my ear, "Your beautiful pussy needs some attention, don't you think?"

I'm so full. I'm not sure how it's possible, but I shimmy my hips to try and sink over him.

- - -
LiBPt3 at its PBEsol-relaxed geometry. Source: the Alexandria database, functional meta-GGA SCAN.

Results
Space-group type: Pm-3m, No. 221
Energy of formation from the pure elements (meV/atom): -440
Polymorph energy (0 for the lowest one) (eV/atom): 0.171
VASP energy (Ry/atom): -3.2722

```
LiBPt3
1.0
4.114 0.000 0.000
0.000 4.114 0.000
0.000 0.000 4.114
Pt B Li
3 1 1
Direct
0.000 0.000 0.500 Pt
0.000 0.500 0.000 Pt
0.500 0.000 0.000 Pt
0.000 0.000 0.000 B
0.500 0.500 0.500 Li
```

LiBPt3 at its PBEsol-relaxed geometry. Source: the Alexandria database, functional meta-GGA SCAN.

Results
Space-group type: P-62m, No. 189
Energy of formation from the pure elements (meV/atom): -611
Polymorph energy (0 for the lowest one) (eV/atom): 0.000
VASP energy (Ry/atom): -3.2847

```
LiBPt3
1.0
2.768 0.000 0.000
0.000 9.222 0.000
0.000 -4.611 7.986
B Li Pt
3 3 9
Direct
0.000 0.333 0.667 B
0.500 0.000 0.000 B
0.000 0.667 0.333 B
0.000 0.362 0.000 Li
0.000 0.638 0.638 Li
0.000 0.000 0.362 Li
0.500 0.483 0.318 Pt
0.000 0.178 0.178 Pt
0.500 0.165 0.682 Pt
0.500 0.318 0.483 Pt
0.500 0.682 0.165 Pt
0.000 0.822 0.000 Pt
0.500 0.835 0.517 Pt
0.500 0.517 0.835 Pt
0.000 0.000 0.822 Pt
```

Li2BPt2 at its PBEsol-relaxed geometry. Source: the Alexandria database, functional meta-GGA SCAN.

Results
Space-group type: P4/mbm, No. 127
Energy of formation from the pure elements (meV/atom): -714
VASP energy (Ry/atom): -2.2956

```
Li2BPt2
1.0
4.347 0.000 0.000
0.000 5.557 0.000
0.000 0.000 5.557
Pt Li B
4 4 2
Direct
0.000 0.665 0.165 Pt
0.000 0.835 0.665 Pt
0.000 0.335 0.835 Pt
0.000 0.165 0.335 Pt
0.500 0.662 0.838 Li
0.500 0.338 0.162 Li
0.500 0.838 0.338 Li
0.500 0.162 0.662 Li
0.000 0.500 0.500 B
0.000 0.000 0.000 B
```

LiBPt2S at its PBEsol-relaxed geometry. Source: the Alexandria database, functional meta-GGA SCAN.

Results
Space-group type: P4/mmm, No. 123
ΔE_f (raw) (eV per atom): -0.030
VASP energy (Ry/atom): -2.3517

```
LiBPt2S
1.0
-1.664 -2.666 2.524
3.665 -1.357 0.982
0.221 2.980 3.293
Pt S B Li
2 1 1 1
Direct
0.500 0.000 0.000 Pt
0.000 0.500 0.000 Pt
0.500 0.500 0.500 S
0.000 0.000 0.000 B
0.000 0.000 0.500 Li
```

Li2TcBPt at its PBEsol-relaxed geometry. Source: the Alexandria database, functional meta-GGA SCAN.

Results
Space-group type: P4/mmm, No. 123
Energy of formation from the pure elements (meV/atom): 1763
VASP energy (Ry/atom): -1.5971

```
Li2TcBPt
1.0
4.609 0.000 0.000
0.000 4.644 0.000
0.000 0.000 4.644
Li B Tc Pt
2 1 1 1
Direct
0.000 0.000 0.500 Li
0.000 0.500 0.000 Li
0.500 0.500 0.500 B
0.000 0.000 0.000 Tc
0.500 0.000 0.000 Pt
```

LiB2Rh at its PBEsol-relaxed geometry. Source: the Alexandria database, functional meta-GGA SCAN.

Results
Space-group type: Fm-3m, No. 225
Energy of formation from the pure elements (meV/atom): 131
VASP energy (Ry/atom): -0.9279

```
LiB2Rh
1.0
-0.271 -3.495 -1.041
0.210 -2.670 2.489
-2.980 -1.937 0.859
Rh B Li
1 2 1
Direct
0.500 0.500 0.500 Rh
0.750 0.750 0.750 B
0.250 0.250 0.250 B
0.000 0.000 0.000 Li
```
- - -

"Greedy girl. Stay still."

I freeze.

"Relax." His tongue flicks my lobe.

I inhale a slow, shaky breath.

His cock begins to slide in me, and my mouth becomes an uncontrollable O. Every thrust is slow. The friction from his shaft seems more intense than ever before. I don't know how he fits inside me. Every inch feels as if I've reached the maximum capacity, but he keeps moving farther in until his pelvis is flat against my ass cheeks.

His hot breath hits my face. "Okay, lapa?"


"Feel how hard I am for you?"

"Yes." My insides slowly spasm on him.

He quietly groans. "Are you squeezing your hands together?"


He kisses my cheekbone and begins to thrust. "Now you can move."

I meet his movements, matching his lazy speed.

"Fuuuuck," he grunts.

"Sergey...oh God..." I barely get out. My body tries to clench him, and tremors move from my toes up through my body.

• Inserted here: materials data:
'''
DFT (PBE-GGA) results for CsNaSnAu after structural relaxation.

a b c (Å): 8.496 4.910 7.723
angles (deg): 90.00 111.61 90.00
Positions (direct):
Cs 0.000 0.000 0.000
Cs 0.500 0.500 0.000
Na 0.188 0.000 0.562
Na 0.688 0.500 0.562
Sn 0.292 0.500 0.376
Sn 0.792 0.000 0.376
Au 0.464 0.000 0.392
Au 0.964 0.500 0.392

As for the density: 5229 kg/m³. The calculation puts the raw total energy at -10.51 eV per formula unit. Its space group is No. 8. The value obtained for the formation energy is -0.2649 eV/atom.



DFT (PBE-GGA) results for ZrC after structural relaxation.

a b c (Å): 5.109 5.109 5.109
angles (deg): 90.00 90.00 90.00
Positions (direct):
Zr 0.000 0.000 0.000
Zr 0.000 0.500 0.500
Zr 0.500 0.000 0.500
Zr 0.500 0.500 0.000
C 0.250 0.250 0.250
C 0.250 0.750 0.750
C 0.750 0.250 0.750
C 0.750 0.750 0.250

The distance to the lowest polymorph of the same formula comes out at 613 meV/atom. As for the density: 5142 kg/m³. The calculation puts the raw total energy at -18.16 eV per formula unit. Its space group is No. 216. The value obtained for the formation energy is -0.1945 eV/atom.



DFT (PBE-GGA) results for Zn2HIr2 after structural relaxation.

a b c (Å): 3.560 3.560 12.994
angles (deg): 90.00 90.00 90.00
Positions (direct):
Zn 0.000 0.000 0.093
Zn 0.000 0.000 0.907
Zn 0.500 0.500 0.407
Zn 0.500 0.500 0.593
H 0.000 0.000 0.500
H 0.500 0.500 0.000
Ir 0.000 0.500 0.250
Ir 0.000 0.500 0.750
Ir 0.500 0.000 0.250
Ir 0.500 0.000 0.750

The distance to the lowest polymorph of the same formula comes out at 755 meV/atom. As for the density: 10414 kg/m³. The calculation puts the raw total energy at -20.13 eV per formula unit. Its space group is No. 139.



DFT (PBE-GGA) results for Ti2VIr after structural relaxation.

a b c (Å): 6.999 6.999 5.307
angles (deg): 90.00 90.00 90.00
Positions (direct):
Ti 0.234 0.250 0.125
Ti 0.250 0.734 0.375
Ti 0.250 0.766 0.875
Ti 0.266 0.250 0.625
Ti 0.734 0.750 0.625
Ti 0.750 0.234 0.875
Ti 0.750 0.266 0.375
Ti 0.766 0.750 0.125
V 0.000 0.000 0.500
V 0.000 0.500 0.750
V 0.500 0.000 0.250
V 0.500 0.500 0.000
Ir 0.000 0.000 0.000
Ir 0.000 0.500 0.250
Ir 0.500 0.000 0.750
Ir 0.500 0.500 0.500

The distance to the lowest polymorph of the same formula comes out at 581 meV/atom. As for the density: 8659 kg/m³. The calculation puts the raw total energy at -33.60 eV per formula unit. Its space group is No. 122. The value obtained for the formation energy is 0.0433 eV/atom.



DFT (PBE-GGA) results for HoNpFe after structural relaxation.

a b c (Å): 9.932 4.733 6.744
angles (deg): 90.00 130.12 90.00
Positions (direct):
Ho 0.090 0.000 0.361
Ho 0.410 0.500 0.639
Ho 0.590 0.500 0.361
Ho 0.910 0.000 0.639
Np 0.127 0.500 0.008
Np 0.373 0.000 0.992
Np 0.627 0.000 0.008
Np 0.873 0.500 0.992
Fe 0.152 0.500 0.718
Fe 0.348 0.000 0.282
Fe 0.652 0.000 0.718
Fe 0.848 0.500 0.282
'''

His arm under me tightens, holding me so I can't fall away from him and into the mattress.

I squeeze my hands, bringing them closer to my head, but the silk's tension is already at its maximum. Adrenaline teases me, giving me pleasure and hinting at a tidal wave of chaos. Our sweat merges. His chest heaves against my spine. Tingles race down my neck from his kisses.

"Everything about you is good, Kora," he mumbles into the curve of my neck.

The typhoon hits me. I grip my hands, and white light consumes me. I lose any control I have left of my body. It shakes uncontrollably into his hard flesh. Sergey pounds harder and deeper, keeping me spinning through orgasms and crying out incoherent things.

His low, throaty groan hits my ear. Right before he detonates inside me, he pulls whatever is in my ass out.

"Oh God!" I scream as his erection stretches me so full, the white light turns black, then white again, from the additional surge of endorphins.

In our aftermath, I lay in a heap of fluids. Sergey collapses on top of me, kissing the back of my neck with his forehead pressed to my head. His heart beats into my shoulder in a rapid rhythm. He moves so he's on his knees and slides his arms over mine then releases me from the silk ties. He rolls off me, rises, then picks me up.

I'm still breathing hard. I slide my hand around his neck. "What are you doing?"

He pecks me on the lips. "I'm ready to get out of this room."


His lips twitch. He carries me through his penthouse and into his bedroom suite. He sets me on his bed and puts a throw over me. "I'll be back." He reaches for the wall switch and flips it. The fireplace on the opposite wall lights up.

"Where are you going?" I ask.

He puts both elbows near my head. "Have you always asked tons of questions, or did they teach you that in law school?"

I wince. "Always."

He chuckles. "It's a quality I love about you. Don't change it, and don't go anywhere." He winks, and my insides flutter.

I curl into the pillow, appreciating his muscular frame and wondering about the ink on his back.

Several minutes pass, and he scoops me back up, then takes me to the bathroom. He said it was morning, but I'm not sure if it is. Blackout shades cover the windows. Candles light the room. He sets me in a bubble bath and slides in behind me.

I lie in his arms, happy, content, feeling a connection I can't explain. I don't know him very well. He's a mystery and hasn't hidden the fact there are things about himself he won't tell me. I know he's capable of bad things, but I only feel safe when I'm with him.

I tilt my head and circle my arm up, gliding my hand in his hair. "Tell me about your back tattoo. It's beautiful. I've never seen anything like it.

His body stiffens, and his jaw tics. Hatred fills his eyes. In a flat voice, he replies, "My guy knows what he's doing with ink."

I pull my hand from behind his head and over his jaw.

He closes his eyes.

Why doesn't he want to talk about his tattoo?

"Sergey, did I—"

"Did you tell your work you wouldn't be in today?"

"No. Not yet. What time is it?"

"Close to seven."

I roll closer to him. "Are you going to sleep at all?"

"Maybe after this bath, I might get a few hours."

"So, will you eventually crash for a long time?"

"Typically. It's why I wasn't thinking clearly when I left Saturday night."

"What do you mean?"

"I had just woken up. It was the first time I slept in days. When I got the call, I just bolted."

"What call?"

He stares at me. His face hardens.

Right. I don't get to know.

I signed up for this.

Why can't he tell me?

It's best if I don't know.

"How long have you had insomnia?"

He turns to the window, focusing on the drawn shades. "Since I was twelve."

"Did something happen that you can link it to?"

The spasm in his jaw intensifies. He closes his eyes.

I suddenly wonder if he's asleep. I whisper, "Sergey?"

"Hmm?" He opens his eyes, and they're glassy. But he also looks tired.

"Do you want to try and sleep?"

"Yeah. Let's get out and lie down."

"Okay." I get out of the tub and reach for the towel. I dry off and secure it around my body.

Sergey rises.

I grab the other towel before he does. I hold it out and wiggle my eyebrows. "Spin, and I'll dry you off."

A cocky expression appears.

I softly laugh. "Don't be too eager."

He grunts.

I dry off the front of his body, kissing his cock, torso, and chest. "Spin."

He reaches down and picks me up.

"Hey!" I cry out.

"You're making me hard again."

"What are you going to do about it?" I taunt him.

He carries me into the bedroom then sets me on my feet. He removes my towel. "Get in bed."

I obey.

He dries his back off then tosses the towel on the floor. "It's my turn to rest."

"We should try to sleep."

A smirk appears. "Not what I had in mind."


"No. Get on your knees."

I do as he says.

He wiggles his finger, and I move my legs until I'm at the end of the bed. His arms circle my waist, and he palms my ass. He spins, taking me with him so he's sitting on the edge of the bed, and I'm straddling him.

I reach around his neck and start to slip my hands down his back, and he grabs my hands and repositions them behind me.

He opens the drawer of his nightstand, picks something up, and quickly ties my hands behind my back. He leans into my ear. "You ever ridden a guy while tied up?"

"No," I admit.

He moves his hands to my hips and slides me over his erection. "Good."

All my years of riding men during sex doesn't compare. I could say it's the restraints, but it isn't just that. It's Sergey.

He may have said he wanted to rest, but he gives the same attention to me as any other time we've done anything. When we're done, he slides under the covers, tugs me into his arms, and kisses my head.

He lights a bowl, takes a puff, and offers it to me. I take one and realize it's the first time he lit up since I arrived.

"Turn on your side," he instructs.

I follow his orders, and he wraps his body around mine.

"Didn't know you were a spooner," I tease.

He kisses the spot where my jaw meets my neck. "I'm not. You're special." His voice is teasing, but every part of me wants it to be true.

We both fall asleep. I wake up in a panic. I forgot to tell my office I was skipping work.

I creep out to the family room and pull my phone out of my purse. I call my assistant and tell her I'm fine and sorry for not giving her a heads-up I wouldn't be in today. I breathe a sigh of relief. I didn't have appointments and planned on doing paperwork and research.

When I walk back into the room, Sergey is on his stomach, with the sheets down to his waist. The fireplace creates a warm glow, and I stare at his toned upper body.

He's delicious.

I sit on the edge of the bed, in awe of the beautiful abstract piece of art on his back. I can't help myself and lightly trace over the pattern then freeze when I discover bumpy skin.

I glance at Sergey, but he hasn't moved and appears to still be asleep. I inspect his ink further and cautiously touch spots all over his back that have damaged skin.

What happened to him?

Is this why he wouldn't let me dry his back?

Who did this to him?

Anger fills me. Someone hurt him. There isn't any way his skin would be destroyed without it being intentional. The scarred tissue is in a pattern with perfectly pointed stars which can't be the cause of an accident.

I can't help myself and kiss his back. Each star, I press my lips to, as if it could somehow make it better.

It won't. I'm not stupid, but emotion overcomes me, thinking about what could have caused this.

He's been hiding his back from me.

It's a realization that slaps me in the face. Besides the one time he angrily sat on the edge of the bed at the club, he's never turned his back toward me. And he froze when I hugged him. This beautiful, strong man hides his agony. If it weren't painful, Sergey wouldn't have covered it up with tattoos. He wouldn't hide his back from me.

My heart wants to slide behind him and hold him, but I'm worried he may wake up and be angry. I finally go to my side of the bed and get under the covers. The minute I do, he pulls me into him.

"You're awake?" I whisper.

He tightens his hold around me but never answers. His lips rest on my head, and his heart beats faster into my shoulder. I don't move or speak again.

How do I get him to trust me enough to tell me what happened?

How do I help him?

It takes me a long time to fall back asleep. The voice in my head keeps saying he won't, and this is what you agreed to.